
Premium food for cats and dogs

Club 4 Paws

Premium food for cats and dogs

My love

Standard food for dogs

My Love

Standard food for cats

- - -
22
Lattice="-0.2296 -4.3322 5.8485 0.5399 2.8616 6.6742 -5.8071 0.1171 4.3920" Properties=species:S:1:pos:R:3 comment="Ca2Ru2O7, optimized geometry, DFT PBE" ef_ev_per_atom=-2.16 crystal_system=cubic energy_ev_per_cell=-152.4 pbc="T T T"
Ru -0.4171 1.2616 5.4514
O -4.7652 -2.8470 9.5510
Ca -0.5319 -0.9045 8.3757
O -4.2932 1.5653 10.0575
O -2.7484 -0.6767 8.4573
O -0.4003 -1.7518 3.2199
O -2.5568 -0.0314 2.6568
O -2.6456 -1.7065 4.9181
O -0.1915 -0.6453 5.8005
O -2.3481 1.0750 5.2374
O -4.6244 -0.1899 5.9639
Ru -3.5906 -0.1107 4.3103
Ca -3.4355 -0.8459 10.5717
O -0.8723 -1.1636 10.9508
Ru -0.6871 -0.1692 2.1143
O -1.2035 -2.9188 6.8572
- - -


Standard food for cat and dog

Misplaced calculated crystals:
........
[1]
# SrC4S4O4 | the Materials Project database | GGA-PBE | optimized geometry
# Total moment: 4.0 μB/cell
# Electronic total energy: -5.934 eV/atom
# Crystal system: orthorhombic
data_SrC4S4O4
_chemical_formula_sum 'Sr4 C16 S16 O16'
_cell_length_a 8.0239
_cell_length_b 11.3187
_cell_length_c 11.1485
_cell_angle_alpha 90.00
_cell_angle_beta 90.00
_cell_angle_gamma 90.00
_space_group_name_H-M_alt 'P n m a'
_space_group_IT_number 62
_space_group_name_Hall '-P 2ac 2n'
loop_
_atom_site_label
_atom_site_type_symbol
_atom_site_fract_x
_atom_site_fract_y
_atom_site_fract_z
Sr1 Sr 0.1754 0.2500 0.2373
C1 C 0.0432 0.6872 0.4022
C2 C 0.0619 0.6849 0.2711
S1 S 0.0415 0.6028 0.5304
S2 S 0.0927 0.5848 0.1652
O1 O 0.0593 0.7500 0.6088
O2 O 0.0860 0.7500 0.8889
O3 O 0.1049 0.0357 0.2247

=====

[2]
# Ba3Pr | the Materials Project database | GGA-PBE | optimized geometry
# Total moment: 2.1 μB/cell
# Electronic total energy: -2.463 eV/atom
# Crystal system: hexagonal
data_Ba3Pr
_chemical_formula_sum 'Ba6 Pr2'
_cell_length_a 8.5435
_cell_length_b 8.5435
_cell_length_c 6.7530
_cell_angle_alpha 90.00
_cell_angle_beta 90.00
_cell_angle_gamma 120.00
_space_group_name_H-M_alt 'P 63/m m c'
_space_group_IT_number 194
_space_group_name_Hall '-P 6c 2c'
loop_
_atom_site_label
_atom_site_type_symbol
_atom_site_fract_x
_atom_site_fract_y
_atom_site_fract_z
Ba1 Ba 0.1720 0.3439 0.2500
Pr1 Pr 0.3333 0.6667 0.7500

----------

The following is a DFT calculation (PBE-GGA) of a relaxed structure of CuH6Pb4S2O14. Values from VASP.

```
&SYSTEM
  ibrav = 0, nat = 27, ntyp = 5
/
ATOMIC_SPECIES
Cu 63.55 Cu.upf
H 1.01 H.upf
Pb 207.20 Pb.upf
S 32.06 S.upf
O 16.00 O.upf
ATOMIC_POSITIONS angstrom
Cu 0.000 0.000 0.000
H -5.464 -2.813 -3.617
H -0.900 -0.317 -2.337
H -4.598 -0.074 0.471
H -1.766 -3.056 -6.425
H -4.869 -0.668 -1.968
H -1.495 -2.462 -3.986
Pb -3.683 -0.735 -4.672
Pb -2.680 -2.395 -1.282
Pb -3.525 -4.665 -4.634
Pb -2.839 1.536 -1.320
S -6.192 -2.982 -0.526
S -0.172 -0.148 -5.428
O -5.090 -2.717 -4.528
O -1.274 -0.413 -1.426
O -4.081 0.745 0.641
O -2.283 -3.875 -6.595
O -3.964 -0.522 -2.307
O -2.400 -2.608 -3.646
O -2.315 -5.113 -1.863
O -4.048 1.984 -4.091
O -5.611 -3.255 -1.870
O -0.753 0.125 -4.084
O -5.733 -1.623 -0.057
O -0.630 -1.507 -5.897
O -5.704 -4.036 0.423
O -0.660 0.906 -6.377
CELL_PARAMETERS angstrom
-5.372 2.136 1.294
0.947 2.610 -7.635
-1.939 -7.876 0.387
```

Output
formation energy from the elements	-1.57	eV per atom
total energy	-5.54	eV/atom

----------

! SmPt3 | the Materials Project | PBE | optimized geometry; values from VASP
! crystal system	cubic
! formation energy	-0.895	eV per atom
! mass density	16.812	g/cm³
&SYSTEM
  ibrav = 0, nat = 4, ntyp = 2
/
ATOMIC_SPECIES
Sm 150.36 Sm.upf
Pt 195.08 Pt.upf
ATOMIC_POSITIONS crystal
Sm 0.000 0.000 0.000
Pt 0.000 0.500 0.500
Pt 0.500 0.000 0.500
Pt 0.500 0.500 0.000
CELL_PARAMETERS angstrom
4.173 0.000 0.000
0.000 4.173 0.000
0.000 0.000 4.173
........
Here the text continues:


Super premium food for cats and dogs

OptiMeal (1)

A few microns save tens of thousands of euros per year: how Kormotech is carrying out a packaging optimization project

New global trends require rebuilding business processes and optimizing production. One such trend is sustainable consumption. Reducing waste, switching to environmentally friendly materials, and eliminating unnecessary operations help preserve a better world for future generations and represent a considerable resource for increasing efficiency and saving costs.

We use hundreds of types of packaging, raw materials, and several types of fuel. We undergo certification procedures in different markets and deal with complex logistics, exporting our products to 39 countries. 

Therefore, we must optimize production costs and improve business processes.

The 3R system became our optimization project:

  • Reduce - reducing waste and unnecessary operations/costs;
  • Reuse - reusing;
  • Recycle - suitability for reuse/recycling.

At the initial stages of the project, we:

  1. have found alternative suppliers and reviewed existing solutions with our partners;
  2. have started automating our internal packaging processes and enhancing transport packaging;
  3. have analyzed the packaging size to reduce the height of the packaging, inner wall thickness, and the area of the bottom of the bags so as not to put the safety and quality of the product at risk.

"For example, we used to make packaging with a safety margin and extra volume. Packaging for 1.5 kg could hold 2 kg," says Irina Kobryn, head of the supply department. "We reduced the density of one of the three layers of the bag wall, thoroughly testing the product inside. As a result of the project's implementation, such optimization of the packaging size will allow us to reduce the cost of the feed delivered to the customer and save up to 50,000 euros per year! We plan to scale these solutions to our packaging and products."

We have already implemented some of the innovations in packaging for the US market (Kormotech produces dry food packaging with a zipper at a lower height). The private labels' and My Love's brand bags use thinner inner wall packaging. We are currently introducing packaging with a reduced bottom area into mass production.

We have balanced production performance indicators and reduced the share of packaging materials costs in the cost of finished products. Packaging has become more sustainable and compact. We reduced delivery costs and saved resources and funds. The optimization project is ongoing.

There are still many goals ahead - we are working on automating packaging processes, optimizing cardboard packaging, and considering the broader use of biodegradable materials. Caring for a healthy environment is an integral focus of a socially responsible company.